SOPP and Peace Pole Honors The Aboriginal Counsel at Wind Song, Little Swanport, Tasmania
A Symphony of Peace Prayers and Peace Pole planting marked a historical event for the Indigenous Aboriginal People of Tasmania at Wind Song BnB; where it is said ‘The wind, land and people sing.”
The Symphony of Peace Prayers (SOPP) is, as the name says, a ‘symphony’ of different faiths, traditions, and cultures coming together in harmony”. A perfect metaphor for the events leading up to this occasion.

Tom and Jane Teniswood own this land and state “The land reflects our passion, drive and commitment to both our business and life values”
They having loved and worked this land then decided to gift it back to ir’s original owners, the Indigenous Aboriginal Counsel, marking this milestone with a Celebration of Peace and unity along with MPPOE, Int. in attendance.

Photo Courtesy of Wind Song for ABC News Australia
We are gathering today at ‘Windsong’ in Tasmania to celebrate SOPP on the land Tom and Jane Teniswood recently gifted 110 hectares, back to the indigenous Aboriginal population of Tasmania. a hectare is a unit of area that is accepted in the International System of Units (SI) and equivalent to about 2.5 acres, Per Webster’s Dictionary
They had a formal handing over about a month ago, but today is The SOPP Celebration and the Planting of a very special Peace Pole to signify the solidarity they share with their native friends, rejoicing not only for SOPP but what is considered a momentous event for the Aboriginal People who are elated to have this gift.

May Peace Prevail On Earth, International’s Jenny Funston held the flag ceremony, on a cool but sunny day perfect for such a celebration with about 80 people in attendance.
A welcome to Country was given by Fiona, the daughter of Elder, Dawn Blazely, who performed the same honor at Tom and Janes’ last year.
Traditionally the native land is first to be prayed for during an SOPP Ceremony. This was powerful and truly heartfelt as the land has only recently been handed back.
A World Peace Flag Ceremony followed with great participation from young children to their elders.

# Unrelated to this article: records of molecules
********
Molecular formula: C5H17N2O2
Method: DFT, ωB97M-V with the def2-TZVPD basis set

CARTESIAN COORDINATES (ANGSTROEM)
O (-0.13, -1.39, -1.82)
H (-0.73, -1.25, 2.05)
N (0.12, -1.41, 1.51)
H (0.50, 1.32, 3.12)
H (1.38, 1.74, 1.84)
H (-2.74, 1.39, -2.74)
C (0.55, 1.06, 2.06)
N (-1.93, 1.44, -0.72)
H (1.58, -0.73, 2.80)
H (2.82, -0.52, -1.61)
H (-0.35, -1.19, -2.74)
C (-0.66, 1.48, 1.33)
H (1.88, -0.43, 1.08)
H (-1.13, 1.24, -2.64)
H (0.40, -2.19, -1.86)
C (1.17, -0.33, 1.90)
H (-0.17, 0.46, -0.46)
H (0.38, -2.40, 1.61)
C (-0.87, 1.15, -0.01)
H (-2.57, 2.13, -0.34)
H (3.32, -1.97, -1.29)
H (-0.05, -1.31, 0.50)
O (2.61, -1.33, -1.14)
C (-2.02, 0.94, -2.07)
H (-2.07, -0.14, -2.10)
H (-1.30, 2.26, 1.74)

Computed properties:
Net charge: +2
Energy relative to the best compared isomer or geometry (same formula, charge and spin), kcal/mol: 0.00
F_max, eV/Å: 2.104
2S+1: 2

Here are the natural (NBO) charges for atoms 1 to 2, given in e: O -0.994; H 0.440



Molecular formula: C23H28MgNO
Method: DFT, ωB97M-V with the def2-TZVPD basis set

CARTESIAN COORDINATES (ANGSTROEM)
H (0.36, 1.57, -4.25)
H (0.24, 0.02, -0.20)
H (2.48, 0.09, 3.27)
H (1.54, 2.64, 3.27)
C (1.03, -1.52, -1.40)
H (-1.99, 1.67, -2.63)
H (4.15, 0.76, 0.71)
C (0.75, 0.00, -1.24)
C (-1.52, 0.80, -2.14)
H (0.59, -1.50, 2.17)
H (4.19, -1.14, 0.81)
C (1.58, 0.45, 2.77)
C (1.84, 2.57, -1.47)
H (0.36, -3.04, 0.44)
H (1.76, 0.51, -1.33)
C (1.07, 1.77, 2.80)
C (0.44, 2.31, -1.59)
C (0.55, -0.41, 2.22)
H (-0.96, -3.56, 2.28)
C (-0.48, -3.06, -0.30)
C (-0.02, 0.98, -2.17)
C (-0.22, 3.20, -0.70)
H (3.01, 3.80, -0.11)
H (-1.29, 3.30, -0.54)
H (-4.73, -1.56, 2.78)
H (-0.16, -2.84, -2.46)
H (-0.08, -0.14, -4.09)
N (-0.09, -2.34, -1.58)
C (3.98, -0.23, 0.20)
C (-2.83, -1.95, -0.06)
H (2.57, 1.92, -1.94)
C (-1.75, -2.96, 1.83)
C (-0.60, 0.42, 1.99)
C (0.46, 0.69, -3.60)
H (-1.59, 0.06, 1.71)
H (-4.78, -1.07, 0.35)
C (0.78, 3.95, -0.01)
O (2.24, -1.86, -1.13)
H (-2.86, -1.73, -1.13)
H (-2.77, -2.76, 3.75)
H (4.35, -0.34, -0.82)
C (-2.79, -2.55, 2.68)
C (-0.26, 1.74, 2.30)
Mg (2.02, -0.25, 0.51)
H (-0.95, 2.58, 2.26)
H (-1.87, -0.12, -2.63)
C (-3.88, -1.86, 2.16)
C (-1.71, -2.61, 0.46)
H (0.62, 4.65, 0.78)
H (1.51, 0.41, -3.68)
H (-0.52, -4.13, -0.52)
C (-3.91, -1.58, 0.79)
C (2.04, 3.52, -0.46)
H (-1.91, 0.75, -1.12)

Computed properties:
Net charge: -1
Energy relative to the best compared isomer or geometry (same formula, charge and spin), kcal/mol: 86.67
F_max, eV/Å: 5.127

Here are the natural (NBO) charges for atoms 1 to 2, given in e: H 0.226; H 0.273



Molecular formula: CH4Cl2Si
Method: DFT, ωB97M-V with the def2-TZVPD basis set

CARTESIAN COORDINATES (ANGSTROEM)
H (0.80, 0.77, 0.90)
C (-0.23, 0.44, 0.97)
Si (-1.48, 1.22, -0.36)
Cl (1.12, -1.76, -4.49)
Cl (-1.01, -0.04, -1.99)
H (-0.56, 0.80, 1.88)
H (-0.24, -0.65, 0.75)
H (0.75, -2.99, -4.64)

Computed properties:
Net charge: 0
Energy relative to the best compared isomer or geometry (same formula, charge and spin), kcal/mol: 73.52
F_max, eV/Å: 3.226
********

A special Peace Pole with the indigenous language of the area upon it was planted. The translation of “May Peace Prevail on Earth” Etched in Palawa Kani was planted in honor of this historic event. This aiding in reviving a language that had been thought to have been extinct. There are over 200 different dialects of the Aboriginal language, depending on geographical locale.
After all was finished, all “friends” of the day adjourned back across the land to the house for afternoon tea.
May Peace Prevail in Tasmania
May Peace Prevail on Earth
News and Photographs courtesy of Jenny Funston of May Peace Prevail On Earth, Int.
A Thank you to ABC News Australia for reporting on the significance of this land transfer the People and State.